What to do:
Please retype the data below without additions.

Material:
____________
## one
A 2-piece molecular cluster, C3H9N3 overall, computed with the ωB97M-V functional and the def2-TZVPD basis.

Results
Highest occupied orbital energy ... -8.8 eV
SMILES string ... C/N=N\C.C=N
Gap between HOMO and LUMO ... 9.7 eV

The geometry in XYZ format:
```
15
C3H9N3 the ωB97M-V functional and the def2-TZVPD basis
C 1.92041 0.91610 -0.80006
N 0.96523 1.03772 0.32322
N 0.29830 0.09616 0.80145
C 0.53424 -1.27008 0.48009
H 1.34805 1.10786 -1.74397
H 2.69967 1.76087 -0.84793
H 2.40406 -0.00768 -0.97243
H 1.30657 -1.75565 1.18729
H 0.78597 -1.66205 -0.55653
H -0.43009 -1.56802 0.88373
C -2.41597 0.47923 0.60372
N -2.16450 0.25983 -0.60529
H -2.46231 1.52906 0.95267
H -2.73867 -0.31911 1.26662
H -2.05095 -0.60424 -0.97260
```

Löwdin population analysis, charges in e, atoms 1 to 4:
1 C -0.13
2 N -0.05
3 N -0.12
4 C -0.16

---

## two
The molecule C3H9N3, computed with the ωB97M-V functional and the def2-TZVPD basis.

Results
Highest occupied orbital energy ... -8.3 eV
SMILES string ... C/C(=C\N)NN
Gap between HOMO and LUMO ... 9.2 eV

The geometry in XYZ format:
```
15
C3H9N3 the ωB97M-V functional and the def2-TZVPD basis
C 1.15003 0.56774 1.01084
C 0.17734 -0.19209 0.19716
C -0.02688 -0.61594 -0.99856
N 1.35181 -0.64287 -1.87368
N -1.38088 -0.40169 0.85069
N -2.39026 0.48464 0.47894
H 1.66710 -0.09703 1.70805
H 1.89595 1.06636 0.38673
H 0.63140 1.33757 1.59451
H -0.80622 -1.06436 -1.58915
H 2.12470 -0.06684 -1.54363
H 1.72752 -1.58060 -2.01328
H -1.23201 -0.37316 1.86184
H -2.85612 0.15281 -0.36215
H -2.03349 1.42545 0.29167
```

Löwdin population analysis, charges in e, atoms 1 to 4:
1 C -0.06
2 C -0.25
3 C -0.07
4 N -0.02

---

Taking the most stable structure as the zero point, the relative energies in kJ/mol are one 34.1; two 0.0.


Density functional theory data (ωB97M-V with the def2-TZVPD basis set) for CH2FNO in the gas phase at a distorted geometry.

```
6
Properties=species:S:1:pos:R:3:forces:R:3:lowdin_charge:R:1
C -0.4601 0.5204 0.1078 -1.939 -2.581 0.349 -0.275
N 0.2561 -0.8486 0.1657 -0.839 3.152 -0.212 0.036
O -0.1573 1.6470 0.2034 1.769 0.604 0.294 0.112
F 1.6017 -0.6119 0.3445 1.418 0.172 0.763 -0.098
H -1.5406 0.2633 0.0115 0.262 -0.379 -0.250 0.126
H 0.3002 -0.9702 -0.8330 -0.670 -0.969 -0.944 0.099
```
Forces are in eV/Å.

- M: 63.0 g/mol
- E_tot: -7321.5629 eV
- SMILES: O=CNF
- Gap between HOMO and LUMO: 11.66 eV

Density functional theory data (ωB97M-V with the def2-TZVPD basis set) for a 2-piece molecular cluster, C6H16NO overall at a distorted geometry.

```
24
Properties=species:S:1:pos:R:3:forces:R:3:lowdin_charge:R:1
C -1.1480 -0.7044 -1.0216 -1.123 0.632 -0.299 -0.172
O -2.0529 -0.8073 0.0827 0.871 -0.339 0.750 -0.001
C 0.2004 -0.6513 -0.4337 -0.872 -1.029 1.124 0.166
C 0.5340 0.3448 0.5177 -0.370 1.060 -0.030 -0.141
C 1.7426 1.2395 0.0543 0.731 0.835 0.061 -0.146
C 2.9455 0.5482 -0.5825 -0.566 -0.079 0.171 -0.252
C 3.6488 -0.4494 0.3337 -0.759 -0.168 -0.517 -0.080
N -4.8638 0.5004 0.6779 -0.053 -0.534 -0.443 0.019
H -1.4542 0.2825 -1.3832 0.415 -0.122 -0.729 0.165
H -1.3362 -1.5085 -1.7263 0.272 0.087 -0.226 0.143
H -1.7583 -1.4965 0.7005 -0.384 -0.115 -0.167 0.122
H 0.7865 -1.5675 -0.5072 0.532 0.294 -0.330 0.162
H 0.7486 -0.0893 1.4920 0.580 -0.464 0.075 0.162
H -0.3041 1.0183 0.6701 -0.169 0.049 -0.073 0.136
H 2.0521 1.8334 0.9206 -0.085 -0.383 0.171 0.132
H 1.3433 2.0061 -0.6126 -0.168 -0.315 -0.239 0.124
H 2.5887 0.0454 -1.4876 0.243 0.005 -0.148 0.108
H 3.6140 1.3501 -0.8837 0.177 -0.061 -0.162 0.119
H 2.9004 -1.1222 0.7651 0.095 0.045 0.309 0.064
H 4.2855 -1.1057 -0.2500 0.432 0.150 0.088 0.083
H 4.1870 0.0631 1.1201 0.186 -0.116 0.176 0.086
H -5.6290 0.1924 1.2561 -0.007 0.110 0.108 0.010
H -4.0005 0.5205 1.1924 -0.055 0.291 0.135 -0.017
H -5.0840 1.3739 0.2291 0.076 0.165 0.198 0.006
```
Forces are in eV/Å.

- Total charge: +1
- M: 118.2 g/mol
- E_tot: -10009.3036 eV
- Gap between HOMO and LUMO: 4.96 eV
____________

Written answer:
## one
A 2-piece molecular cluster, C3H9N3 overall, computed with the ωB97M-V functional and the def2-TZVPD basis.

Results
Highest occupied orbital energy ... -8.8 eV
SMILES string ... C/N=N\C.C=N
Gap between HOMO and LUMO ... 9.7 eV

The geometry in XYZ format:
```
15
C3H9N3 the ωB97M-V functional and the def2-TZVPD basis
C 1.92041 0.91610 -0.80006
N 0.96523 1.03772 0.32322
N 0.29830 0.09616 0.80145
C 0.53424 -1.27008 0.48009
H 1.34805 1.10786 -1.74397
H 2.69967 1.76087 -0.84793
H 2.40406 -0.00768 -0.97243
H 1.30657 -1.75565 1.18729
H 0.78597 -1.66205 -0.55653
H -0.43009 -1.56802 0.88373
C -2.41597 0.47923 0.60372
N -2.16450 0.25983 -0.60529
H -2.46231 1.52906 0.95267
H -2.73867 -0.31911 1.26662
H -2.05095 -0.60424 -0.97260
```

Löwdin population analysis, charges in e, atoms 1 to 4:
1 C -0.13
2 N -0.05
3 N -0.12
4 C -0.16

---

## two
The molecule C3H9N3, computed with the ωB97M-V functional and the def2-TZVPD basis.

Results
Highest occupied orbital energy ... -8.3 eV
SMILES string ... C/C(=C\N)NN
Gap between HOMO and LUMO ... 9.2 eV

The geometry in XYZ format:
```
15
C3H9N3 the ωB97M-V functional and the def2-TZVPD basis
C 1.15003 0.56774 1.01084
C 0.17734 -0.19209 0.19716
C -0.02688 -0.61594 -0.99856
N 1.35181 -0.64287 -1.87368
N -1.38088 -0.40169 0.85069
N -2.39026 0.48464 0.47894
H 1.66710 -0.09703 1.70805
H 1.89595 1.06636 0.38673
H 0.63140 1.33757 1.59451
H -0.80622 -1.06436 -1.58915
H 2.12470 -0.06684 -1.54363
H 1.72752 -1.58060 -2.01328
H -1.23201 -0.37316 1.86184
H -2.85612 0.15281 -0.36215
H -2.03349 1.42545 0.29167
```

Löwdin population analysis, charges in e, atoms 1 to 4:
1 C -0.06
2 C -0.25
3 C -0.07
4 N -0.02

---

Taking the most stable structure as the zero point, the relative energies in kJ/mol are one 34.1; two 0.0.


Density functional theory data (ωB97M-V with the def2-TZVPD basis set) for CH2FNO in the gas phase at a distorted geometry.

```
6
Properties=species:S:1:pos:R:3:forces:R:3:lowdin_charge:R:1
C -0.4601 0.5204 0.1078 -1.939 -2.581 0.349 -0.275
N 0.2561 -0.8486 0.1657 -0.839 3.152 -0.212 0.036
O -0.1573 1.6470 0.2034 1.769 0.604 0.294 0.112
F 1.6017 -0.6119 0.3445 1.418 0.172 0.763 -0.098
H -1.5406 0.2633 0.0115 0.262 -0.379 -0.250 0.126
H 0.3002 -0.9702 -0.8330 -0.670 -0.969 -0.944 0.099
```
Forces are in eV/Å.

- M: 63.0 g/mol
- E_tot: -7321.5629 eV
- SMILES: O=CNF
- Gap between HOMO and LUMO: 11.66 eV

Density functional theory data (ωB97M-V with the def2-TZVPD basis set) for a 2-piece molecular cluster, C6H16NO overall at a distorted geometry.

```
24
Properties=species:S:1:pos:R:3:forces:R:3:lowdin_charge:R:1
C -1.1480 -0.7044 -1.0216 -1.123 0.632 -0.299 -0.172
O -2.0529 -0.8073 0.0827 0.871 -0.339 0.750 -0.001
C 0.2004 -0.6513 -0.4337 -0.872 -1.029 1.124 0.166
C 0.5340 0.3448 0.5177 -0.370 1.060 -0.030 -0.141
C 1.7426 1.2395 0.0543 0.731 0.835 0.061 -0.146
C 2.9455 0.5482 -0.5825 -0.566 -0.079 0.171 -0.252
C 3.6488 -0.4494 0.3337 -0.759 -0.168 -0.517 -0.080
N -4.8638 0.5004 0.6779 -0.053 -0.534 -0.443 0.019
H -1.4542 0.2825 -1.3832 0.415 -0.122 -0.729 0.165
H -1.3362 -1.5085 -1.7263 0.272 0.087 -0.226 0.143
H -1.7583 -1.4965 0.7005 -0.384 -0.115 -0.167 0.122
H 0.7865 -1.5675 -0.5072 0.532 0.294 -0.330 0.162
H 0.7486 -0.0893 1.4920 0.580 -0.464 0.075 0.162
H -0.3041 1.0183 0.6701 -0.169 0.049 -0.073 0.136
H 2.0521 1.8334 0.9206 -0.085 -0.383 0.171 0.132
H 1.3433 2.0061 -0.6126 -0.168 -0.315 -0.239 0.124
H 2.5887 0.0454 -1.4876 0.243 0.005 -0.148 0.108
H 3.6140 1.3501 -0.8837 0.177 -0.061 -0.162 0.119
H 2.9004 -1.1222 0.7651 0.095 0.045 0.309 0.064
H 4.2855 -1.1057 -0.2500 0.432 0.150 0.088 0.083
H 4.1870 0.0631 1.1201 0.186 -0.116 0.176 0.086
H -5.6290 0.1924 1.2561 -0.007 0.110 0.108 0.010
H -4.0005 0.5205 1.1924 -0.055 0.291 0.135 -0.017
H -5.0840 1.3739 0.2291 0.076 0.165 0.198 0.006
```
Forces are in eV/Å.

- Total charge: +1
- M: 118.2 g/mol
- E_tot: -10009.3036 eV
- Gap between HOMO and LUMO: 4.96 eV